• Wanted:
Repeat everything further below without additions.

• Source:
/*
This entry pairs a crystal structure of PaCu2Pd with its computed X-ray diffraction stick pattern. Radiation: λ = 1.5418 Å (Cu Kα). Structure: a DFT-relaxed cell (GGA-PBE, Alexandria).
Kinematic intensities with the Lorentz-polarization factor, no thermal factor.

Main lines, in order of rising 2θ (2θ = 10–90°):
- (1 0 2), 2θ = 22.33°, rel. 13.1
- (2 0 0), 2θ = 25.45°, rel. 13.4
- (2 1 1), 2θ = 35.25°, rel. 100.0
- (1 1 3), 2θ = 37.99°, rel. 78.9
- (1 0 4), 2θ = 39.38°, rel. 29.5
- (3 0 2), 2θ = 43.04°, rel. 24.9
- (0 2 0), 2θ = 45.12°, rel. 28.2
- (1 2 4), 2θ = 61.41°, rel. 16.1
- (3 2 2), 2θ = 64.12°, rel. 15.3
- (5 1 3), 2θ = 78.13°, rel. 14.6

Structure:
Cell: 6.999 4.019 9.684 Å, 90.00 90.00 90.00°
Space group Amm2 (No. 38)
One atom of each set of equivalent atoms:
Pa  0.000  0.000  0.000 (multiplicity 2)
Pa  0.500  0.000  0.143 (multiplicity 2)
Cu  0.000  0.000  0.295 (multiplicity 2)
Cu  0.310  0.000  0.428 (multiplicity 4)
Cu  0.500  0.000  0.861 (multiplicity 2)
Pd  0.204  0.000  0.695 (multiplicity 4)

=====

[1]
Theoretical X-ray powder pattern of SrCl3 for Cu Kα (weighted mean of Kα1 and Kα2), from a cell relaxed with GGA-PBE.
Intensities are scaled so that the largest is 100.

Top 10 peaks for 2θ from 15° to 90°, by angle:
(hkl), two_theta, I/Imax
1 0 0, 16.1, 12
1 0 1, 22.4, 20
0 0 2, 31.3, 35
2 0 0, 32.6, 23
2 0 1, 36.3, 100
2 0 2, 45.8, 16
2 2 0, 58.2, 15
2 0 3, 59.0, 22
2 2 2, 67.6, 19
4 0 1, 70.6, 12

Structural model:
```
data_SrCl3
_symmetry_space_group_name_H-M 'P 63/m m c'
_symmetry_Int_Tables_number 194
_symmetry_space_group_name_Hall '-P 6c 2c'
_cell_length_a 6.3398
_cell_length_b 6.3398
_cell_length_c 5.7210
_cell_angle_alpha 90.00
_cell_angle_beta 90.00
_cell_angle_gamma 120.00
loop_
_atom_site_label
_atom_site_fract_x
_atom_site_fract_y
_atom_site_fract_z
Sr1 0.3333 0.6667 0.2500
Cl1 0.1730 0.3461 0.7500
```

[2]
Theoretical X-ray powder pattern of PrLuS3 for Cu Kα (weighted mean of Kα1 and Kα2), from a cell relaxed with GGA-PBE.
Intensities are scaled so that the largest is 100.

Top 10 peaks for 2θ from 15° to 90°, by angle:
(hkl), two_theta, I/Imax
0 2 2, 23.4, 100
1 1 0, 23.9, 28
1 1 1, 25.7, 20
1 3 0, 31.3, 33
1 3 1, 32.7, 36
1 3 2, 36.7, 33
1 1 3, 37.2, 21
0 0 4, 37.8, 21
0 6 2, 47.3, 25
2 2 2, 52.9, 23

Structural model:
```
data_PrLuS3
_symmetry_space_group_name_H-M 'C m c m'
_symmetry_Int_Tables_number 63
_symmetry_space_group_name_Hall '-C 2c 2'
_cell_length_a 3.8926
_cell_length_b 12.6051
_cell_length_c 9.5224
_cell_angle_alpha 90.00
_cell_angle_beta 90.00
_cell_angle_gamma 90.00
loop_
_atom_site_label
_atom_site_fract_x
_atom_site_fract_y
_atom_site_fract_z
Pr1 0.0000 0.2472 0.2500
Lu1 0.0000 0.5000 0.0000
S1 0.0000 0.1408 0.5626
S2 0.0000 0.4140 0.7500
```

[3]
Theoretical X-ray powder pattern of NbO2 for Cu Kα (weighted mean of Kα1 and Kα2), from a cell relaxed with GGA-PBE.
Intensities are scaled so that the largest is 100.

Top 10 peaks for 2θ from 15° to 90°, by angle:
(hkl), two_theta, I/Imax
2 2 0, 25.7, 100
2 0 2, 34.7, 65
4 0 0, 36.7, 17
4 2 2, 51.4, 53
4 4 0, 52.8, 18
6 2 0, 59.7, 13
6 0 2, 64.8, 15
2 2 4, 67.2, 8
6 4 2, 76.8, 8
2 8 2, 88.3, 7

Structural model:
```
data_NbO2
_symmetry_space_group_name_H-M 'I 41/a'
_symmetry_Int_Tables_number 88
_cell_length_a 9.8002
_cell_length_b 9.8002
_cell_length_c 6.0883
_cell_angle_alpha 90.00
_cell_angle_beta 90.00
_cell_angle_gamma 90.00
loop_
_symmetry_equiv_pos_as_xyz
'x,y,z'
'-x,-y,-z'
'-y+3/4,x+1/4,z+1/4'
'y+3/4,-x+1/4,-z+1/4'
'-x+1/2,-y,z+1/2'
'x+1/2,y,-z+1/2'
'y+3/4,-x+3/4,z+3/4'
'-y+3/4,x+3/4,-z+3/4'
'x+1/2,y+1/2,z+1/2'
'-x+1/2,-y+1/2,-z+1/2'
'-y+1/4,x+3/4,z+3/4'
'y+1/4,-x+3/4,-z+3/4'
'-x,-y+1/2,z'
'x,y+1/2,-z'
'y+1/4,-x+1/4,z+1/4'
'-y+1/4,x+1/4,-z+1/4'
loop_
_atom_site_label
_atom_site_fract_x
_atom_site_fract_y
_atom_site_fract_z
Nb1 0.0135 0.4928 0.2764
O1 0.1042 0.0980 0.0091
O2 0.1069 0.1149 0.4847
```

[4]
*/

• Outcome:
This entry pairs a crystal structure of PaCu2Pd with its computed X-ray diffraction stick pattern. Radiation: λ = 1.5418 Å (Cu Kα). Structure: a DFT-relaxed cell (GGA-PBE, Alexandria).
Kinematic intensities with the Lorentz-polarization factor, no thermal factor.

Main lines, in order of rising 2θ (2θ = 10–90°):
- (1 0 2), 2θ = 22.33°, rel. 13.1
- (2 0 0), 2θ = 25.45°, rel. 13.4
- (2 1 1), 2θ = 35.25°, rel. 100.0
- (1 1 3), 2θ = 37.99°, rel. 78.9
- (1 0 4), 2θ = 39.38°, rel. 29.5
- (3 0 2), 2θ = 43.04°, rel. 24.9
- (0 2 0), 2θ = 45.12°, rel. 28.2
- (1 2 4), 2θ = 61.41°, rel. 16.1
- (3 2 2), 2θ = 64.12°, rel. 15.3
- (5 1 3), 2θ = 78.13°, rel. 14.6

Structure:
Cell: 6.999 4.019 9.684 Å, 90.00 90.00 90.00°
Space group Amm2 (No. 38)
One atom of each set of equivalent atoms:
Pa  0.000  0.000  0.000 (multiplicity 2)
Pa  0.500  0.000  0.143 (multiplicity 2)
Cu  0.000  0.000  0.295 (multiplicity 2)
Cu  0.310  0.000  0.428 (multiplicity 4)
Cu  0.500  0.000  0.861 (multiplicity 2)
Pd  0.204  0.000  0.695 (multiplicity 4)

=====

[1]
Theoretical X-ray powder pattern of SrCl3 for Cu Kα (weighted mean of Kα1 and Kα2), from a cell relaxed with GGA-PBE.
Intensities are scaled so that the largest is 100.

Top 10 peaks for 2θ from 15° to 90°, by angle:
(hkl), two_theta, I/Imax
1 0 0, 16.1, 12
1 0 1, 22.4, 20
0 0 2, 31.3, 35
2 0 0, 32.6, 23
2 0 1, 36.3, 100
2 0 2, 45.8, 16
2 2 0, 58.2, 15
2 0 3, 59.0, 22
2 2 2, 67.6, 19
4 0 1, 70.6, 12

Structural model:
```
data_SrCl3
_symmetry_space_group_name_H-M 'P 63/m m c'
_symmetry_Int_Tables_number 194
_symmetry_space_group_name_Hall '-P 6c 2c'
_cell_length_a 6.3398
_cell_length_b 6.3398
_cell_length_c 5.7210
_cell_angle_alpha 90.00
_cell_angle_beta 90.00
_cell_angle_gamma 120.00
loop_
_atom_site_label
_atom_site_fract_x
_atom_site_fract_y
_atom_site_fract_z
Sr1 0.3333 0.6667 0.2500
Cl1 0.1730 0.3461 0.7500
```

[2]
Theoretical X-ray powder pattern of PrLuS3 for Cu Kα (weighted mean of Kα1 and Kα2), from a cell relaxed with GGA-PBE.
Intensities are scaled so that the largest is 100.

Top 10 peaks for 2θ from 15° to 90°, by angle:
(hkl), two_theta, I/Imax
0 2 2, 23.4, 100
1 1 0, 23.9, 28
1 1 1, 25.7, 20
1 3 0, 31.3, 33
1 3 1, 32.7, 36
1 3 2, 36.7, 33
1 1 3, 37.2, 21
0 0 4, 37.8, 21
0 6 2, 47.3, 25
2 2 2, 52.9, 23

Structural model:
```
data_PrLuS3
_symmetry_space_group_name_H-M 'C m c m'
_symmetry_Int_Tables_number 63
_symmetry_space_group_name_Hall '-C 2c 2'
_cell_length_a 3.8926
_cell_length_b 12.6051
_cell_length_c 9.5224
_cell_angle_alpha 90.00
_cell_angle_beta 90.00
_cell_angle_gamma 90.00
loop_
_atom_site_label
_atom_site_fract_x
_atom_site_fract_y
_atom_site_fract_z
Pr1 0.0000 0.2472 0.2500
Lu1 0.0000 0.5000 0.0000
S1 0.0000 0.1408 0.5626
S2 0.0000 0.4140 0.7500
```

[3]
Theoretical X-ray powder pattern of NbO2 for Cu Kα (weighted mean of Kα1 and Kα2), from a cell relaxed with GGA-PBE.
Intensities are scaled so that the largest is 100.

Top 10 peaks for 2θ from 15° to 90°, by angle:
(hkl), two_theta, I/Imax
2 2 0, 25.7, 100
2 0 2, 34.7, 65
4 0 0, 36.7, 17
4 2 2, 51.4, 53
4 4 0, 52.8, 18
6 2 0, 59.7, 13
6 0 2, 64.8, 15
2 2 4, 67.2, 8
6 4 2, 76.8, 8
2 8 2, 88.3, 7

Structural model:
```
data_NbO2
_symmetry_space_group_name_H-M 'I 41/a'
_symmetry_Int_Tables_number 88
_cell_length_a 9.8002
_cell_length_b 9.8002
_cell_length_c 6.0883
_cell_angle_alpha 90.00
_cell_angle_beta 90.00
_cell_angle_gamma 90.00
loop_
_symmetry_equiv_pos_as_xyz
'x,y,z'
'-x,-y,-z'
'-y+3/4,x+1/4,z+1/4'
'y+3/4,-x+1/4,-z+1/4'
'-x+1/2,-y,z+1/2'
'x+1/2,y,-z+1/2'
'y+3/4,-x+3/4,z+3/4'
'-y+3/4,x+3/4,-z+3/4'
'x+1/2,y+1/2,z+1/2'
'-x+1/2,-y+1/2,-z+1/2'
'-y+1/4,x+3/4,z+3/4'
'y+1/4,-x+3/4,-z+3/4'
'-x,-y+1/2,z'
'x,y+1/2,-z'
'y+1/4,-x+1/4,z+1/4'
'-y+1/4,x+1/4,-z+1/4'
loop_
_atom_site_label
_atom_site_fract_x
_atom_site_fract_y
_atom_site_fract_z
Nb1 0.0135 0.4928 0.2764
O1 0.1042 0.0980 0.0091
O2 0.1069 0.1149 0.4847
```

[4]